The reader should count the lines underneath that contain the word "per" and give the number alone.

First-principles (meta-GGA r2SCAN) data for Nd16Zr16O49 after structural relaxation, as listed in Materials Project.

```
Nd16Zr16O49
1.0
7.472 0.000 0.000
3.732 6.555 0.000
0.008 4.316 24.694
Nd Zr O
16 16 49
direct
0.000 0.000 0.000
0.000 0.510 0.999
0.008 0.507 0.500
0.139 0.733 0.873
0.250 0.004 0.746
0.256 0.497 0.750
0.257 0.014 0.243
0.380 0.248 0.622
0.508 0.490 0.996
0.509 0.506 0.494
0.513 0.000 0.499
0.626 0.758 0.371
0.752 0.000 0.753
0.752 0.512 0.250
0.757 0.019 0.248
0.888 0.244 0.122
0.007 0.999 0.499
0.127 0.251 0.873
0.142 0.745 0.369
0.146 0.251 0.374
0.263 0.512 0.253
0.368 0.760 0.622
0.381 0.759 0.123
0.383 0.249 0.123
0.506 0.995 0.002
0.593 0.258 0.372
0.630 0.253 0.873
0.632 0.741 0.875
0.755 0.497 0.748
0.870 0.757 0.122
0.883 0.755 0.621
0.888 0.239 0.622
0.006 0.461 0.603
0.054 0.332 0.786
0.056 0.465 0.104
0.073 0.888 0.097
0.100 0.812 0.780
0.117 0.803 0.281
0.131 0.753 0.453
0.138 0.174 0.455
0.162 0.695 0.966
0.205 0.053 0.647
0.216 0.147 0.956
0.242 0.967 0.353
0.247 0.452 0.340
0.263 0.054 0.147
0.308 0.389 0.850
0.308 0.960 0.855
0.313 0.831 0.537
0.356 0.317 0.528
0.371 0.268 0.037
0.373 0.273 0.205
0.405 0.664 0.206
0.416 0.189 0.716
0.455 0.666 0.705
0.465 0.552 0.396
0.488 0.474 0.100
0.513 0.547 0.896
0.569 0.897 0.603
0.570 0.458 0.608
0.577 0.329 0.287
0.597 0.833 0.277
0.618 0.750 0.960
0.621 0.333 0.788
0.629 0.751 0.790
0.643 0.164 0.955
0.668 0.695 0.465
0.702 0.052 0.145
0.715 0.167 0.453
0.741 0.959 0.855
0.813 0.833 0.037
0.820 0.955 0.355
0.847 0.419 0.345
0.850 0.316 0.028
0.875 0.240 0.705
0.875 0.829 0.535
0.877 0.268 0.537
0.881 0.677 0.704
0.909 0.214 0.213
0.947 0.546 0.899
0.972 0.655 0.206
```

Electronic total energy: -17.464 eV per atom
Calculated density: 6248 kg/m³
Space group: P1 (1)

First-principles (meta-GGA r2SCAN) data for Nd3Os after structural relaxation, as listed in Materials Project.

```
Nd3Os
1.0
7.471 0.000 0.000
0.000 9.597 0.000
0.000 0.000 6.592
Nd Os
12 4
direct
0.047 0.250 0.138
0.173 0.067 0.673
0.173 0.433 0.673
0.327 0.567 0.173
0.327 0.933 0.173
0.453 0.750 0.638
0.547 0.250 0.362
0.673 0.067 0.827
0.673 0.433 0.827
0.827 0.567 0.327
0.827 0.933 0.327
0.953 0.750 0.862
0.112 0.750 0.457
0.388 0.250 0.957
0.612 0.750 0.043
0.888 0.250 0.543
```

Electronic total energy: -35.457 eV per atom
Calculated density: 8756 kg/m³
Space group: Pnma (62)

First-principles (meta-GGA r2SCAN) data for NdP5 after structural relaxation, as listed in Materials Project.

```
NdP5
1.0
5.061 0.000 0.000
0.000 9.565 0.000
-1.150 0.000 5.340
Nd P
2 10
direct
0.009 0.250 0.350
0.991 0.750 0.650
0.294 0.250 0.902
0.296 0.530 0.401
0.296 0.970 0.401
0.386 0.590 0.048
0.386 0.910 0.048
0.614 0.090 0.952
0.614 0.410 0.952
0.704 0.030 0.599
0.704 0.470 0.599
0.706 0.750 0.098
```

Electronic total energy: -13.050 eV per atom
Calculated density: 3842 kg/m³
Space group: P2_1/m (11)

First-principles (meta-GGA r2SCAN) data for Nd3P6Pd20 after structural relaxation, as listed in Materials Project.

```
Nd3P6Pd20
1.0
0.000 6.143 6.143
6.143 0.000 6.143
6.143 6.143 0.000
Nd P Pd
3 6 20
direct
0.000 0.000 0.000
0.250 0.250 0.250
0.750 0.750 0.750
0.263 0.263 0.737
0.263 0.737 0.263
0.263 0.737 0.737
0.737 0.263 0.263
0.737 0.263 0.737
0.737 0.737 0.263
0.000 0.000 0.347
0.000 0.000 0.653
0.000 0.347 0.000
0.000 0.347 0.653
0.000 0.653 0.000
0.000 0.653 0.347
0.158 0.614 0.614
0.347 0.000 0.000
0.347 0.000 0.653
0.347 0.653 0.000
0.386 0.386 0.386
0.386 0.386 0.842
0.386 0.842 0.386
0.614 0.158 0.614
0.614 0.614 0.158
0.614 0.614 0.614
0.653 0.000 0.000
0.653 0.000 0.347
0.653 0.347 0.000
0.842 0.386 0.386
```

Electronic total energy: -21.473 eV per atom
Calculated density: 9838 kg/m³
Space group: Fm-3m (225)

First-principles (meta-GGA r2SCAN) data for NdP2Pd2 after structural relaxation, as listed in Materials Project.

```
NdP2Pd2
1.0
-2.077 2.077 4.957
2.077 -2.077 4.957
2.077 2.077 -4.957
Nd P Pd
1 2 2
direct
0.000 0.000 0.000
0.388 0.388 0.000
0.612 0.612 0.000

4